What is needed: transcribe the whole of the lines further below without additions.

********
Model a:
Formula: C9H11N2O2
Source: OMol25
Level of theory: ωB97M-V/def2-TZVPD

Atoms and positions in Å:
C  1.22  0.57  -1.39
N  1.67  1.03  -0.15
C  0.97  1.87  0.59
N  1.30  2.13  1.84
O  -0.11  2.33  0.09
C  -1.22  1.52  -0.53
O  -1.76  2.09  -1.40
C  -1.52  0.18  -0.07
C  -2.40  -0.48  -0.95
C  -3.10  -1.62  -0.66
C  -3.20  -1.94  0.72
C  -2.28  -1.46  1.58
C  -1.35  -0.47  1.13
H  1.98  0.45  -2.06
H  0.72  -0.43  -1.28
H  0.42  1.16  -1.70
H  2.56  0.76  0.24
H  2.32  1.88  1.96
H  1.01  2.90  2.49
H  -2.33  -0.29  -2.09
H  -3.59  -2.22  -1.51
H  -3.88  -2.69  1.07
H  -2.09  -1.91  2.58
H  -0.60  -0.12  1.83

LUMO energy: -3.85 eV
Charge: +1
Gap between HOMO and LUMO: 9.24 eV
HOMO level: -13.0923 eV
2S+1: 1

Calculated atomic charges, method Mulliken, unit e:
1 C -1.055
2 N -0.130
3 C 0.654
4 N -0.358
5 O -0.405
6 C 0.240
7 O -0.367
8 C 0.730
9 C -0.514
10 C -0.466
11 C -0.347
12 C -0.657
13 C -0.030
14 H 0.436
15 H 0.297
16 H 0.595
17 H 0.185
18 H 0.239
19 H 0.303
20 H 0.234
21 H 0.314
22 H 0.416
23 H 0.338
24 H 0.346

Model b:
Formula: C9H11N2O2
Source: OMol25
Level of theory: ωB97M-V/def2-TZVPD

Atoms and positions in Å:
C  -1.41  3.45  -0.41
C  -0.85  2.26  -0.54
C  -1.13  1.29  0.58
O  -2.51  0.82  0.35
C  -2.65  -0.48  0.03
O  -3.62  -1.08  -0.31
C  -1.27  -1.06  0.19
C  -0.47  -2.09  -0.14
C  0.85  -1.66  -0.12
C  2.04  -2.48  -0.41
N  0.84  -0.36  0.20
C  2.15  0.30  0.57
N  -0.43  0.00  0.36
H  -1.45  4.14  -1.13
H  -1.95  3.61  0.44
H  -0.60  1.77  -1.46
H  -1.14  1.56  1.67
H  -0.72  -3.18  -0.42
H  2.93  -1.94  -0.36
H  2.20  -3.14  0.38
H  1.85  -3.03  -1.32
H  2.71  -0.28  1.33
H  2.62  0.28  -0.39
H  2.01  1.31  0.92

LUMO energy: -3.96 eV
Charge: +1
Gap between HOMO and LUMO: 10.26 eV
HOMO level: -14.2144 eV
2S+1: 1

Calculated atomic charges, method Mulliken, unit e:
1 C -0.741
2 C -0.123
3 C -0.079
4 O -0.244
5 C 0.389
6 O -0.475
7 C 0.139
8 C -0.679
9 C 0.887
10 C -1.480
11 N -0.105
12 C -0.981
13 N 0.504
14 H 0.345
15 H 0.258
16 H 0.325
17 H 0.381
18 H 0.373
19 H 0.402
20 H 0.396
21 H 0.375
22 H 0.319
23 H 0.456
24 H 0.358

Verdict on stability: model a comes out on top.

Model a:
Formula: C7H15NO2
Source: OMol25
Level of theory: ωB97M-V/def2-TZVPD

Atoms and positions in Å:
C  -1.07  -1.55  -1.10
N  -1.62  -1.06  0.14
C  -1.81  -2.02  1.19
C  -1.84  0.25  0.39
O  -2.26  0.69  1.43
O  -1.59  1.05  -0.68
H  -0.05  -1.92  -0.94
H  -1.69  -2.38  -1.46
H  -1.06  -0.76  -1.84
H  -0.87  -2.50  1.45
H  -2.52  -2.79  0.87
H  -2.20  -1.50  2.06
H  -1.78  1.96  -0.41
C  1.23  -0.09  1.49
C  1.52  1.02  0.84
C  2.35  1.08  -0.41
C  1.64  1.87  -1.51
H  1.59  -1.06  1.16
H  0.63  -0.09  2.38
H  1.15  1.97  1.20
H  3.30  1.58  -0.17
H  2.58  0.07  -0.76
H  1.46  2.90  -1.19
H  0.67  1.41  -1.73
H  2.23  1.88  -2.41

LUMO energy: 0.87 eV
Charge: 0
Gap between HOMO and LUMO: 10.20 eV
HOMO level: -9.3368 eV
2S+1: 1

Calculated atomic charges, method Mulliken, unit e:
1 C -0.898
2 N 0.117
3 C -1.047
4 C 0.794
5 O -0.658
6 O -0.484
7 H 0.251
8 H 0.328
9 H 0.299
10 H 0.325
11 H 0.335
12 H 0.306
13 H 0.337
14 C -0.889
15 C -0.044
16 C -0.369
17 C -0.980
18 H 0.296
19 H 0.289
20 H 0.349
21 H 0.283
22 H 0.266
23 H 0.298
24 H 0.131
25 H 0.366

Model b:
Formula: C7H15NO2
Source: OMol25
Level of theory: ωB97M-V/def2-TZVPD

Atoms and positions in Å:
C  -2.08  -2.57  0.40
C  -1.47  -1.47  1.21
O  -2.08  -0.70  1.91
C  0.05  -1.39  1.13
O  0.74  -2.09  0.42
H  -1.96  -3.50  0.94
H  -3.14  -2.38  0.24
H  -1.57  -2.67  -0.56
H  0.47  -0.69  1.87
C  -1.07  2.02  0.03
C  -0.34  0.91  -0.70
N  1.21  1.15  -0.84
C  1.87  0.14  -1.62
C  1.93  1.42  0.39
H  -2.13  1.96  -0.18
H  -0.94  1.95  1.11
H  -0.69  2.99  -0.32
H  -0.67  -0.08  -0.34
H  -0.61  0.88  -1.75
H  1.77  -0.85  -1.10
H  1.40  0.06  -2.60
H  2.92  0.38  -1.75
H  2.91  1.81  0.13
H  1.42  2.19  0.97
H  2.08  0.52  1.00

LUMO energy: -0.66 eV
Charge: 0
Gap between HOMO and LUMO: 7.63 eV
HOMO level: -8.2905 eV
2S+1: 1

Calculated atomic charges, method Mulliken, unit e:
********

Model a:
Formula: C9H11N2O2
Source: OMol25
Level of theory: ωB97M-V/def2-TZVPD

Atoms and positions in Å:
C  1.22  0.57  -1.39
N  1.67  1.03  -0.15
C  0.97  1.87  0.59
N  1.30  2.13  1.84
O  -0.11  2.33  0.09
C  -1.22  1.52  -0.53
O  -1.76  2.09  -1.40
C  -1.52  0.18  -0.07
C  -2.40  -0.48  -0.95
C  -3.10  -1.62  -0.66
C  -3.20  -1.94  0.72
C  -2.28  -1.46  1.58
C  -1.35  -0.47  1.13
H  1.98  0.45  -2.06
H  0.72  -0.43  -1.28
H  0.42  1.16  -1.70
H  2.56  0.76  0.24
H  2.32  1.88  1.96
H  1.01  2.90  2.49
H  -2.33  -0.29  -2.09
H  -3.59  -2.22  -1.51
H  -3.88  -2.69  1.07
H  -2.09  -1.91  2.58
H  -0.60  -0.12  1.83

LUMO energy: -3.85 eV
Charge: +1
Gap between HOMO and LUMO: 9.24 eV
HOMO level: -13.0923 eV
2S+1: 1

Calculated atomic charges, method Mulliken, unit e:
1 C -1.055
2 N -0.130
3 C 0.654
4 N -0.358
5 O -0.405
6 C 0.240
7 O -0.367
8 C 0.730
9 C -0.514
10 C -0.466
11 C -0.347
12 C -0.657
13 C -0.030
14 H 0.436
15 H 0.297
16 H 0.595
17 H 0.185
18 H 0.239
19 H 0.303
20 H 0.234
21 H 0.314
22 H 0.416
23 H 0.338
24 H 0.346

Model b:
Formula: C9H11N2O2
Source: OMol25
Level of theory: ωB97M-V/def2-TZVPD

Atoms and positions in Å:
C  -1.41  3.45  -0.41
C  -0.85  2.26  -0.54
C  -1.13  1.29  0.58
O  -2.51  0.82  0.35
C  -2.65  -0.48  0.03
O  -3.62  -1.08  -0.31
C  -1.27  -1.06  0.19
C  -0.47  -2.09  -0.14
C  0.85  -1.66  -0.12
C  2.04  -2.48  -0.41
N  0.84  -0.36  0.20
C  2.15  0.30  0.57
N  -0.43  0.00  0.36
H  -1.45  4.14  -1.13
H  -1.95  3.61  0.44
H  -0.60  1.77  -1.46
H  -1.14  1.56  1.67
H  -0.72  -3.18  -0.42
H  2.93  -1.94  -0.36
H  2.20  -3.14  0.38
H  1.85  -3.03  -1.32
H  2.71  -0.28  1.33
H  2.62  0.28  -0.39
H  2.01  1.31  0.92

LUMO energy: -3.96 eV
Charge: +1
Gap between HOMO and LUMO: 10.26 eV
HOMO level: -14.2144 eV
2S+1: 1

Calculated atomic charges, method Mulliken, unit e:
1 C -0.741
2 C -0.123
3 C -0.079
4 O -0.244
5 C 0.389
6 O -0.475
7 C 0.139
8 C -0.679
9 C 0.887
10 C -1.480
11 N -0.105
12 C -0.981
13 N 0.504
14 H 0.345
15 H 0.258
16 H 0.325
17 H 0.381
18 H 0.373
19 H 0.402
20 H 0.396
21 H 0.375
22 H 0.319
23 H 0.456
24 H 0.358

Verdict on stability: model a comes out on top.

Model a:
Formula: C7H15NO2
Source: OMol25
Level of theory: ωB97M-V/def2-TZVPD

Atoms and positions in Å:
C  -1.07  -1.55  -1.10
N  -1.62  -1.06  0.14
C  -1.81  -2.02  1.19
C  -1.84  0.25  0.39
O  -2.26  0.69  1.43
O  -1.59  1.05  -0.68
H  -0.05  -1.92  -0.94
H  -1.69  -2.38  -1.46
H  -1.06  -0.76  -1.84
H  -0.87  -2.50  1.45
H  -2.52  -2.79  0.87
H  -2.20  -1.50  2.06
H  -1.78  1.96  -0.41
C  1.23  -0.09  1.49
C  1.52  1.02  0.84
C  2.35  1.08  -0.41
C  1.64  1.87  -1.51
H  1.59  -1.06  1.16
H  0.63  -0.09  2.38
H  1.15  1.97  1.20
H  3.30  1.58  -0.17
H  2.58  0.07  -0.76
H  1.46  2.90  -1.19
H  0.67  1.41  -1.73
H  2.23  1.88  -2.41

LUMO energy: 0.87 eV
Charge: 0
Gap between HOMO and LUMO: 10.20 eV
HOMO level: -9.3368 eV
2S+1: 1

Calculated atomic charges, method Mulliken, unit e:
1 C -0.898
2 N 0.117
3 C -1.047
4 C 0.794
5 O -0.658
6 O -0.484
7 H 0.251
8 H 0.328
9 H 0.299
10 H 0.325
11 H 0.335
12 H 0.306
13 H 0.337
14 C -0.889
15 C -0.044
16 C -0.369
17 C -0.980
18 H 0.296
19 H 0.289
20 H 0.349
21 H 0.283
22 H 0.266
23 H 0.298
24 H 0.131
25 H 0.366

Model b:
Formula: C7H15NO2
Source: OMol25
Level of theory: ωB97M-V/def2-TZVPD

Atoms and positions in Å:
C  -2.08  -2.57  0.40
C  -1.47  -1.47  1.21
O  -2.08  -0.70  1.91
C  0.05  -1.39  1.13
O  0.74  -2.09  0.42
H  -1.96  -3.50  0.94
H  -3.14  -2.38  0.24
H  -1.57  -2.67  -0.56
H  0.47  -0.69  1.87
C  -1.07  2.02  0.03
C  -0.34  0.91  -0.70
N  1.21  1.15  -0.84
C  1.87  0.14  -1.62
C  1.93  1.42  0.39
H  -2.13  1.96  -0.18
H  -0.94  1.95  1.11
H  -0.69  2.99  -0.32
H  -0.67  -0.08  -0.34
H  -0.61  0.88  -1.75
H  1.77  -0.85  -1.10
H  1.40  0.06  -2.60
H  2.92  0.38  -1.75
H  2.91  1.81  0.13
H  1.42  2.19  0.97
H  2.08  0.52  1.00

LUMO energy: -0.66 eV
Charge: 0
Gap between HOMO and LUMO: 7.63 eV
HOMO level: -8.2905 eV
2S+1: 1

Calculated atomic charges, method Mulliken, unit e: